Transcribe every line underneath that contains the word "Last".

1.
# C5H8N4O4S

A molecular structure, C5H8N4O4S in a non-equilibrium geometry (ωB97M-V/def2-TZVPD, the Open Molecules 2025 dataset).

Last column: Löwdin charge in e.
CARTESIAN COORDINATES (ANGSTROEM)
C: 0.546 0.775 -0.527  -0.1940
C: -0.687 1.421 -0.528  -0.4290
C: -0.925 -0.851 0.228  -0.4556
C: 1.822 1.438 -0.682  0.0144
C: 1.423 -1.545 0.263  0.0409
N: 0.378 -0.534 -0.128  -0.0804
N: -1.125 -1.280 2.128  0.0603
N: -0.994 2.735 -0.922  -0.4054
N: -1.423 -2.149 -0.225  -0.4352
O: -0.087 3.521 -1.200  0.0584
O: -0.657 -2.889 -0.750  0.1036
O: -2.196 3.022 -0.853  -0.0065
O: -2.586 -2.317 -0.089  0.0794
S: -2.128 0.526 -0.158  1.1224
H: 1.788 2.399 -0.384  0.0543
H: 2.144 1.357 -1.699  0.1148
H: 2.627 0.956 -0.218  0.0658
H: 1.240 -1.605 1.298  0.0718
H: 1.364 -2.332 -0.478  0.0886
H: 2.374 -0.940 0.208  0.0982
H: -0.745 -0.449 2.577  0.0189
H: -2.153 -1.261 2.140  0.0143

Results
HOMO-LUMO gap ... 7.651 eV
Energy above the lowest of the compared OMol25 structures with the same formula, charge and spin ... 5.292 eV
Highest occupied orbital energy ... -8.5 eV
Largest force on an atom ... 4.25 eV/A
2S+1 ... 1



2.
# C41H37KOP2Si

A molecular structure, C41H37KOP2Si (ωB97M-V/def2-TZVPD, the Open Molecules 2025 dataset).

Last column: Löwdin charge in e.
CARTESIAN COORDINATES (ANGSTROEM)
K: 2.420 0.103 -0.816  0.7195
O: 0.853 -0.295 1.404  -0.1315
C: -0.079 -1.271 1.690  -0.2776
C: -1.214 -1.009 2.448  -0.0122
C: -2.118 -2.028 2.687  -0.0787
C: -1.909 -3.299 2.166  -0.1022
C: -0.793 -3.538 1.384  -0.0668
C: 0.140 -2.531 1.132  -0.2857
P: 1.609 -2.769 0.076  1.0787
C: 0.933 -2.396 -1.594  -0.4453
C: -0.336 -1.873 -1.820  -0.0718
C: -0.741 -1.566 -3.115  -0.0537
C: 0.096 -1.812 -4.191  -0.0737
C: 1.366 -2.337 -3.975  -0.0794
C: 1.789 -2.602 -2.683  -0.1427
C: 1.741 -4.592 0.028  -0.3894
C: 1.096 -5.402 -0.902  -0.0926
C: 1.226 -6.783 -0.838  -0.0774
C: 1.995 -7.367 0.158  -0.0850
C: 2.642 -6.567 1.089  -0.0825
C: 2.523 -5.187 1.017  -0.1039
C: 0.901 0.825 2.248  -0.2892
C: 1.161 0.625 3.596  -0.0165
C: 1.203 1.716 4.446  -0.0746
C: 0.989 2.989 3.932  -0.0755
C: 0.777 3.165 2.575  -0.0648
C: 0.740 2.087 1.691  -0.2925
P: 0.599 2.262 -0.142  0.8778
C: 2.459 3.093 -0.217  -0.3740
C: 3.485 2.933 0.720  -0.1268
C: 4.804 3.300 0.449  -0.1004
C: 5.141 3.828 -0.785  -0.1102
C: 4.147 3.977 -1.749  -0.0981
C: 2.842 3.608 -1.465  -0.1424
C: -0.210 3.856 -0.609  -0.3372
C: 0.299 5.101 -0.246  -0.1099
C: -0.295 6.278 -0.685  -0.0854
C: -1.397 6.233 -1.522  -0.0984
C: -1.900 4.999 -1.916  -0.0876
C: -1.318 3.828 -1.458  -0.1001
H: -1.397 -0.012 2.821  0.1288
H: -3.001 -1.822 3.277  0.1106
H: -2.618 -4.093 2.356  0.1093
H: -0.635 -4.524 0.966  0.1031
H: -0.999 -1.664 -0.990  0.0814
H: -1.718 -1.129 -3.275  0.1043
H: -0.231 -1.583 -5.197  0.1058
H: 2.030 -2.521 -4.810  0.1062
H: 2.789 -2.990 -2.512  0.1104
H: 0.484 -4.957 -1.677  0.1076
H: 0.719 -7.403 -1.567  0.1047
H: 2.092 -8.444 0.207  0.1029
H: 3.247 -7.016 1.866  0.1035
H: 3.038 -4.564 1.739  0.1014
H: 1.306 -0.382 3.966  0.1277
H: 1.395 1.573 5.501  0.1032
H: 1.001 3.849 4.589  0.1032
H: 0.635 4.165 2.192  0.0968
H: 3.260 2.528 1.703  0.0926
H: 5.565 3.176 1.212  0.0979
H: 6.160 4.123 -0.998  0.0951
H: 4.394 4.390 -2.721  0.0981
H: 2.083 3.733 -2.235  0.1036
H: 1.194 5.163 0.357  0.0950
H: 0.117 7.231 -0.377  0.1001
H: -1.857 7.148 -1.872  0.0975
H: -2.753 4.948 -2.581  0.0987
H: -1.735 2.874 -1.752  0.0831
C: -3.846 -1.887 -0.376  -0.1684
Si: -3.896 -0.015 -0.260  0.4062
C: -4.650 0.662 -1.839  -0.1833
C: -4.947 0.473 1.211  -0.1814
C: -2.232 0.691 -0.059  -0.1829
C: -1.238 1.392 0.087  -0.2031
H: -4.861 -2.284 -0.461  0.0352
H: -3.381 -2.334 0.506  -0.0029
H: -3.288 -2.219 -1.254  0.0190
H: -5.716 0.430 -1.898  0.0282
H: -4.164 0.231 -2.717  0.0189
H: -4.535 1.746 -1.891  0.0254
H: -5.988 0.164 1.087  0.0284
H: -4.921 1.556 1.344  0.0326
H: -4.564 0.015 2.125  0.0152

Results
HOMO-LUMO gap ... 6.404 eV

Last column: Löwdin charge in e.
Last column: Löwdin charge in e.